Brief:
Give back every line underneath that contains the word "listed", please.
Listing:
+++
Here is SrZrSi4 after structural relaxation from the Alexandria database. Energies are from PBE.

Output
- Raw formation energy: -0.0187 eV per atom
- Magnetic moment: 0.0 μB per formula unit
- Fermi-level density of states: 4.6 states/eV/cell
- Crystal system: cubic

```
data_SrZrSi4
_chemical_formula_sum 'Sr1 Zr1 Si4'
_cell_length_a 5.344
_cell_length_b 5.344
_cell_length_c 5.344
_cell_angle_alpha 60.00
_cell_angle_beta 60.00
_cell_angle_gamma 60.00
_space_group_name_H-M_alt 'P 1'
_space_group_IT_number 1
loop_
_space_group_symop_operation_xyz
'x,y,z'
loop_
_atom_site_label
_atom_site_type_symbol
_atom_site_fract_x
_atom_site_fract_y
_atom_site_fract_z
Sr1 Sr 0.000 0.000 0.000
Zr1 Zr 0.750 0.750 0.750
Si1 Si 0.379 0.379 0.379
Si2 Si 0.379 0.379 0.864
Si3 Si 0.379 0.864 0.379
Si4 Si 0.864 0.379 0.379
```

~~~~~

[1]
Material: MoRu2Rh
Method: DFT, SCAN
State: PBEsol geometry

Output
energy relative to the lowest polymorph listed for this composition: 0.0000 eV per atom

a b c (Å): 3.7868 3.8109 3.8109
angles (deg): 90.00 90.00 90.00
With the nearest neighbours (Å) after each atom.
Element x y z (fractional)
Mo (0.5000, 0.5000, 0.5000)  8 Ru 2.69, 4 Rh 2.69
Ru (0.0000, 0.5000, 0.0000)  4 Mo 2.69, 4 Rh 2.69, 4 Ru 2.69
Ru (0.0000, 0.0000, 0.5000)  4 Mo 2.69, 4 Rh 2.69, 4 Ru 2.69
Rh (0.5000, 0.0000, 0.0000)  8 Ru 2.69, 4 Mo 2.69

[2]
Material: MoRu2Rh
Method: DFT, SCAN
State: PBEsol geometry

Output
energy relative to the lowest polymorph listed for this composition: 0.0368 eV per atom

a b c (Å): 3.8076 3.8076 4.6580
angles (deg): 114.12 114.12 90.00
With the nearest neighbours (Å) after each atom.
Element x y z (fractional)
Mo (0.0000, 0.0000, 0.0000)  8 Ru 2.69, 4 Rh 2.69
Ru (0.5000, 0.5000, 0.0000)  4 Ru 2.69, 4 Rh 2.69, 4 Mo 2.69
Ru (0.7500, 0.2500, 0.5000)  4 Ru 2.69, 4 Mo 2.69, 4 Rh 2.69
Rh (0.2500, 0.7500, 0.5000)  8 Ru 2.69, 4 Mo 2.69

[3]
Material: MoRu2Rh
Method: DFT, SCAN
State: PBEsol geometry

Output
energy relative to the lowest polymorph listed for this composition: 0.1188 eV per atom

a b c (Å): 2.6936 4.6617 4.6686
angles (deg): 99.73 106.77 90.00
With the nearest neighbours (Å) after each atom.
Element x y z (fractional)
Ru (0.9976, 0.9878, 0.9952)  5 Ru 2.63-2.69, 4 Mo 2.66-2.73, 3 Rh 2.72
Ru (0.2528, 0.7622, 0.5055)  5 Ru 2.63-2.69, 4 Rh 2.66-2.73, 3 Mo 2.72-2.73
Rh (0.7494, 0.2526, 0.4987)  7 Ru 2.66-2.73, 3 Mo 2.68-2.69, 2 Rh 2.69
Mo (0.5003, 0.4974, 0.0005)  7 Ru 2.66-2.73, 3 Rh 2.68-2.69, 2 Mo 2.69

[4]
Material: MoRu2Rh
Method: DFT, SCAN
State: PBEsol geometry

Output
energy relative to the lowest polymorph listed for this composition: 0.0715 eV per atom

a b c (Å): 3.8300 3.8300 4.6355
angles (deg): 114.40 114.40 90.00
With the nearest neighbours (Å) after each atom.
Element x y z (fractional)
Rh (0.0000, 0.0000, 0.0000)  8 Ru 2.68, 4 Mo 2.71
Ru (0.2500, 0.7500, 0.5000)  4 Mo 2.68, 4 Rh 2.68, 4 Ru 2.71
Ru (0.7500, 0.2500, 0.5000)  4 Mo 2.68, 4 Rh 2.68, 4 Ru 2.71
Mo (0.5000, 0.5000, 0.0000)  8 Ru 2.68, 4 Rh 2.71

[5]
Material: TaMo2RuRh
Method: DFT, SCAN
State: PBEsol geometry

Output
E_tot: -39.462 eV/atom

a b c (Å): 4.5271 4.5271 4.6738
angles (deg): 90.00 90.00 90.00
With the nearest neighbours (Å) after each atom.
Element x y z (fractional)
Mo (0.5000, 0.0000, 0.0000)  2 Ru 2.26
Mo (0.0000, 0.5000, 0.0000)  2 Ru 2.26
Ta (0.0000, 0.0000, 0.5000)  2 Ru 2.34
Ru (0.0000, 0.0000, 0.0000)  4 Mo 2.26, 2 Ta 2.34
Rh (0.5000, 0.5000, 0.5000)  4 Ta 3.20, 8 Mo 3.25

[6]
Material: TiMoRhS2
Method: DFT, SCAN
State: PBEsol geometry

Output
uncorrected formation energy: 0.40 eV/atom

a b c (Å): 4.4577 4.5162 4.5162
angles (deg): 90.00 90.00 90.00
With the nearest neighbours (Å) after each atom.
Element x y z (fractional)
Ti (0.0000, 0.0000, 0.0000)  2 Rh 2.23, 4 S 2.26
S (0.0000, 0.0000, 0.5000)  2 Ti 2.26
S (0.0000, 0.5000, 0.0000)  2 Ti 2.26
Rh (0.5000, 0.0000, 0.0000)  2 Ti 2.23
Mo (0.5000, 0.5000, 0.5000)  8 S 3.17, 4 Rh 3.19

[7]
Material: SbMo2Rh
Method: DFT, SCAN
State: PBEsol geometry

Output
+++
Worked solution:
energy relative to the lowest polymorph listed for this composition: 0.0000 eV per atom
energy relative to the lowest polymorph listed for this composition: 0.0368 eV per atom
energy relative to the lowest polymorph listed for this composition: 0.1188 eV per atom
energy relative to the lowest polymorph listed for this composition: 0.0715 eV per atom